available for microscopic evaluation. A useful strategy is to stain every fifth or tenth serial section with hematoxylin and eosin (H&E) while allocating the other sections for molecular biomarkers. When step‐sectioning, the interval between steps needed to ensure that all major organs are sampled effectively varies with the developmental stage of the animal. In our experience, suitable intervals between steps are between 25 to 50 μm at GD5.5–6.5, 75 to 100 μm at GD7.0–8.0, and 150 to 250 μm at GD9.5–10.5. For older embryos and neonates, the presence of major viscera can be verified on the block face when sectioning. Greater cellular detail may be visible, particularly in very young embryos (GD8.5 or earlier), if samples are post‐fixed by immersion in 1% osmium tetroxide for one to two hours followed by embedding in hard plastic resin. Smaller embryos, especially preimplantation embryos (GD0.5–GD4.0) are pre‐embedded in 1% agar (in distilled water) following fixation to minimize cell trauma during processing [72].
### Misplaced crystal structures
/*
Density functional theory data (PBE-GGA) for a geometry-optimized NaTaO3 structure.

a = 5.5571 Å, b = 5.5571 Å, c = 7.9028 Å
α = 90.00°, β = 90.00°, γ = 90.51°
Closest atoms and distances in Å follow each position.
Fractional positions:
O1 0.2894 0.2894 0.0000  2 Ta 2.00
Na1 0.5028 0.4972 0.2500  8 O 2.57-2.82
O2 0.7106 0.7106 0.0000  2 Ta 2.00
O3 0.5426 0.0313 0.7500  2 Ta 2.00
O4 0.2120 0.7880 0.5362  2 Ta 2.00
Na2 0.0097 0.9903 0.2500  4 O 2.43-2.49
Ta1 0.5000 0.0000 0.0000  6 O 2.00
O5 0.9687 0.4574 0.7500  2 Ta 2.00
Ta2 0.0000 0.5000 0.5000  6 O 2.00
O6 0.4574 0.9687 0.2500  2 Ta 2.00
Ta3 0.0000 0.5000 0.0000  6 O 2.00
O7 0.7880 0.2120 0.0362  2 Ta 2.00
Ta4 0.5000 0.0000 0.5000  6 O 2.00
Na3 0.9903 0.0097 0.7500  4 O 2.43-2.49
O8 0.2894 0.2894 0.5000  2 Ta 2.00
O9 0.2120 0.7880 0.9638  2 Ta 2.00
O10 0.7106 0.7106 0.5000  2 Ta 2.00
Na4 0.4972 0.5028 0.7500  8 O 2.57-2.82
O11 0.0313 0.5426 0.2500  2 Ta 2.00
O12 0.7880 0.2120 0.4638  2 Ta 2.00

Corrected total energy (MP2020 scheme)   -8.6721 eV per atom

---

Density functional theory data (PBE-GGA) for a geometry-optimized KNaCu3S3O13 structure.

a = 9.5370 Å, b = 10.5060 Å, c = 14.6126 Å
α = 111.48°, β = 90.00°, γ = 116.99°
Closest atoms and distances in Å follow each position.
Fractional positions:
S1 0.7507 0.0048 0.5149  4 O 1.48-1.51
O1 0.9447 0.6633 0.1877  1 S 1.51
O2 0.5408 0.1965 0.9150  1 S 1.51
S2 0.1966 0.3085 0.7937  4 O 1.46-1.51
K1 0.4503 0.3848 0.6285  6 O 2.68-2.89
O3 0.8974 0.0946 0.4797  1 S 1.51
O4 0.5436 0.3400 0.3705  1 S 1.51
O5 0.3881 0.1255 0.1020  1 S 1.49
O6 0.3396 0.4579 0.8126  1 S 1.46
Cu1 0.0452 0.0322 0.8596  4 O 1.96-2.03
Cu2 0.0130 0.9678 0.6404  4 O 1.96-2.03
S3 0.2493 0.9952 0.4851  4 O 1.48-1.51
O7 0.1023 0.0000 0.2500  4 Cu 1.96
Cu3 0.9548 0.9678 0.1404  4 O 1.96-2.03
O8 0.7186 0.6633 0.6877  1 S 1.51
O9 0.8977 0.0000 0.7500  4 Cu 1.96
S4 0.1119 0.3085 0.2937  4 O 1.46-1.51
O10 0.6890 0.0853 0.0669  1 S 1.50
S5 0.8881 0.6915 0.7063  4 O 1.46-1.51
O11 0.1972 0.0946 0.9797  1 S 1.51
Cu4 0.4958 0.0326 0.6575  4 O 1.97-2.03
O12 0.3878 0.0000 0.2500  4 Cu 1.96-1.97
O13 0.1026 0.9054 0.5203  1 S 1.51
O14 0.9655 0.8022 0.8145  1 S 1.51
O15 0.9791 0.7618 0.6384  1 S 1.50
O16 0.4564 0.6600 0.6295  1 S 1.51
O17 0.6283 0.4576 0.9291  1 S 1.46
K2 0.0655 0.6152 0.8715  6 O 2.68-2.89
O18 0.0345 0.1978 0.1855  1 S 1.51
O19 0.6119 0.8745 0.8980  1 S 1.49
O20 0.7665 0.8879 0.5414  1 S 1.48
O21 0.2173 0.2382 0.8616  1 S 1.50
O22 0.2036 0.6600 0.1295  1 S 1.51
O23 0.6604 0.5421 0.1874  1 S 1.46
O24 0.0553 0.3367 0.8123  1 S 1.51
Na1 0.5584 0.6503 0.9537  4 O 2.32-2.51
Cu5 0.5042 0.9674 0.3425  4 O 1.97-2.03
S6 0.3739 0.6889 0.1318  4 O 1.46-1.51
S7 0.7459 0.9952 0.9851  4 O 1.48-1.51
O25 0.3110 0.9147 0.9331  1 S 1.50
O26 0.1707 0.5424 0.5709  1 S 1.46
O27 0.0209 0.2382 0.3616  1 S 1.50
S8 0.6850 0.3111 0.3682  4 O 1.46-1.51
S9 0.8034 0.6915 0.2063  4 O 1.46-1.51
O28 0.8028 0.9054 0.0203  1 S 1.51
O29 0.7964 0.3400 0.8705  1 S 1.51
K3 0.9345 0.3848 0.1285  6 O 2.68-2.89
*/
### The crystal structures stop here
Figure 5.7 Noninvasive imaging modalities are useful means for characterizing developmental phenotypes in embryonic mice. Panel (a): Magnetic resonance microscopy (MRM) of a GD17.5 mouse embryo showing volume‐rendered composite (left) and “dissected” images acquired at 20‐μm resolution using a magnetic field strength of 9.4 T [18]. Panel (b): Microscopic computer‐assisted tomography (μCT) of a neonatal (PND0) mouse demonstrating differential highlighting of bone (left, unstained specimen) or soft tissues (right, sample processed with the proprietary Virtual HistologyTM staining protocol [Numira Biosciences, Inc., Salt Lake City, UT, USA]).
Sources: MRM image from Dr. G. A. Johnson, Duke University and µCT image from Numira Biosciences, Inc.; both images reproduced from Bolon et al. [67] by permission of CRC Press.
Figure 5.8 Sex differentiation of neonatal (PND1) mice using anogenital distances (brackets), which are longer in males (left) relative to females (right).
Source: Dr. Cynthia Besch‐Williford, IDEXX and Newbigging et al. [70] with permission of CRC Press.
Histopathologic evaluation is a critical element in phenotyping embryos and neonates since microscopic findings often represent the only evidence of a new phenotype [73]. The first step of the examination is to assess sections at low magnification (i.e. using objectives ranging from 1× to 5×) to observe the general appearance of differentiated organs (Figure 5.13). This portion of the analysis will detect obvious developmental defects in tissues and organs. Special care must be taken to recognize the absence of any missing structures, which may be obvious but sometimes is not (Figure 5.14) [74, 75]. The second step is to assess tissue features at intermediate magnification (4× to 20×) to further define potential target cell populations in affected organs. This task requires detailed understanding of the unique cytoarchitectural features of each region and its major cell types across many stages of prenatal and postnatal development – knowledge that can only be gained by experience. The third step of a well‐designed histopathologic analysis is to fully describe the nature of the structural defects at the organ, cellular, and (if necessary) subcellular levels, using both routinely stained (H&E) and specially processed sections (e.g. to demonstrate molecular biomarkers, especially utilizing immunohistochemistry [IHC]). A successful phenotypic evaluation for prenatal and neonatal mice often will require comparison of possible lesions to normal structures shown in a well‐illustrated and highly annotated rodent developmental anatomy atlases [11–15].
These crystal structures were left in the piece by mistake.
=====
Entry 1:
A relaxed structure of CaNiO3. Source: the Materials Project database, functional PBE with a Hubbard U.

Values from the calculation:
DFT total energy	-53.6	eV/cell

a = 5.1950 Å, b = 5.1950 Å, c = 4.7890 Å
α = 90.00°, β = 90.00°, γ = 120.00°
Space group P6_3mc (No. 186)
Unique sites:
Ca: 0.3333 0.6667 0.0000 (multiplicity 2)
Ni: 0.0000 0.0000 0.2800 (multiplicity 2)
O: 0.1592 0.3184 0.5317 (multiplicity 6)

Entry 2:
A relaxed structure of LiCr2O4. Source: the Materials Project database, functional PBE with a Hubbard U.

Values from the calculation:
energy relative to the lowest polymorph listed for this composition	0	meV/atom
DFT total energy	-200.3	eV/cell

a = 5.919 Å, b = 5.975 Å, c = 8.320 Å
α = 89.64°, β = 89.72°, γ = 89.87°
Space group P1 (No. 1)
Unique sites:
Li: 0.000 0.000 0.000 (multiplicity 1)
Li: 0.001 0.502 0.248 (multiplicity 1)
Li: 0.502 0.504 0.502 (multiplicity 1)
Li: 0.506 0.998 0.749 (multiplicity 1)
Cr: 0.002 0.253 0.624 (multiplicity 1)
Cr: 0.005 0.748 0.624 (multiplicity 1)
Cr: 0.252 0.002 0.375 (multiplicity 1)
Cr: 0.252 0.499 0.874 (multiplicity 1)
Cr: 0.499 0.256 0.123 (multiplicity 1)
Cr: 0.505 0.752 0.125 (multiplicity 1)
Cr: 0.754 0.004 0.375 (multiplicity 1)
Cr: 0.755 0.501 0.874 (multiplicity 1)
O: 0.007 0.784 0.379 (multiplicity 1)
O: 0.227 0.499 0.636 (multiplicity 1)
O: 0.232 0.004 0.604 (multiplicity 1)
O: 0.278 0.004 0.143 (multiplicity 1)
O: 0.286 0.494 0.120 (multiplicity 1)
O: 0.500 0.227 0.359 (multiplicity 1)
O: 0.508 0.788 0.367 (multiplicity 1)
O: 0.510 0.268 0.894 (multiplicity 1)
O: 0.511 0.717 0.885 (multiplicity 1)
O: 0.724 0.013 0.141 (multiplicity 1)
O: 0.729 0.497 0.109 (multiplicity 1)
O: 0.774 0.503 0.643 (multiplicity 1)
O: 0.774 0.998 0.602 (multiplicity 1)
O: 0.994 0.280 0.866 (multiplicity 1)
O: 0.999 0.219 0.380 (multiplicity 1)
O: 0.999 0.724 0.864 (multiplicity 1)

Entry 3:
A relaxed structure of Cr3Sn3Sb2O16. Source: the Materials Project database, functional PBE with a Hubbard U.

Values from the calculation:
energy relative to the lowest polymorph listed for this composition	7	meV/atom
DFT total energy	-317.9	eV/cell

a = 10.708 Å, b = 6.167 Å, c = 9.356 Å
α = 90.00°, β = 90.95°, γ = 90.00°
Space group Cm (No. 8)
Unique sites:
Cr: 0.000 0.000 0.000 (multiplicity 2)
Cr: 0.414 0.245 0.503 (multiplicity 4)
Sn: 0.160 0.500 0.490 (multiplicity 2)
Sn: 0.245 0.247 0.998 (multiplicity 4)
Sb: 0.155 0.000 0.282 (multiplicity 2)
Sb: 0.489 0.000 0.775 (multiplicity 2)
O: 0.059 0.281 0.629 (multiplicity 4)
O: 0.084 0.212 0.129 (multiplicity 4)
O: 0.155 0.500 0.881 (multiplicity 2)
O: 0.156 0.000 0.887 (multiplicity 2)
O: 0.244 0.240 0.387 (multiplicity 4)
O: 0.305 0.000 0.140 (multiplicity 2)
O: 0.335 0.500 0.096 (multiplicity 2)
O: 0.339 0.500 0.580 (multiplicity 2)
O: 0.351 0.000 0.621 (multiplicity 2)
O: 0.415 0.246 0.887 (multiplicity 4)
O: 0.483 0.000 0.394 (multiplicity 2)
O: 0.497 0.500 0.394 (multiplicity 2)

Entry 4:
=====
Figure 5.9 Schematic diagram showing necropsy approach for neonatal and juvenile mice. The animal is placed in dorsal recumbency, and the limbs are secured to maintain the “splayed” position. Panel (a): Organs are exposed with four cuts (made in numerical order) through the body wall. The curved arc represented by cuts “2” and “3” follows the contour of the diaphragm, which separates the thoracic cavity (located under “4”) from the abdominal cavity (found under “1”). Panel (b): Photograph demonstrating the location of principal viscera in the thoracic and abdominal cavities of a juvenile (10‐day‐old) mouse as viewed from the ventral aspect. Abbreviations: ht = heart, in = intestine, lv = liver, lu = lung, sp = spleen, st = stomach, th = thymus.
Sources: Diagram, prepared by Tim Vojt, The Ohio State University, is from Newbigging et al. [70] with permission of CRC Press; photograph from Bolon et al. [58] with permission of John Wiley & Sons.
Figure 5.10 Sectioning (Wilson's) technique to allow macroscopic evaluation of defects in large internal organs of near‐term (GD17 and older) mouse embryos and neonates. The schematic diagram (left panel) demonstrates the placement of freehand incisions to expose internal organs. Numbers of the dashed lines in the diagram correspond to the numbered planes in the labeled torso blocks (right panel) of a near‐term embryo that had been fixed in Bouin's solution. Tissue blocks may be processed subsequently for histopathological assessment.
Sources: Diagram (by Tim Vojt, The Ohio State University) and photograph (by Dr. Elizabeth R. Magden, Colorado State University) both from Newbigging et al. [70] with permission of CRC Press.
Figure 5.11 Sectioning (Wilson's) technique to allow macroscopic evaluation of brain defects in near‐term (GD17 and older) mouse embryos and neonates. The numbers identify the position of the tissue block located between two adjacent incisions (dashed lines). Should a microscopic examination of the blocks be desired, the cut surface closest to the number identifying the block should be placed “down” in the cassette. Tissue processing: Bouin's fixation, paraffin embedding, H&E staining. Stain: H&E.
Source: Diagram by Tim Vojt, The Ohio State University; all images from Newbigging et al. [70] with permission of CRC Press.
_The page is interrupted by crystal structures_
┌──
1.
Ti2CoSi: relaxed, PBE.

## Properties
ΔE_f in eV/atom: -0.346
Crystal system: cubic
Total moment in μB per atom: 0.7502

```
Ti2CoSi
1.0
0.000 3.015 3.015
3.015 0.000 3.015
3.015 3.015 0.000
Ti Co Si
2 1 1
Direct
0.000 0.000 0.000
0.250 0.250 0.250
0.500 0.500 0.500
0.750 0.750 0.750
```

=====

2.
TiCoSi: relaxed, PBE.

## Properties
ΔE_f in eV/atom: -0.789
Crystal system: orthorhombic

```
TiCoSi
1.0
3.709 0.000 0.000
0.000 6.127 0.000
0.000 0.000 6.895
Ti Co Si
4 4 4
Direct
0.250 0.016 0.809
0.750 0.484 0.309
0.250 0.516 0.691
0.750 0.984 0.191
0.250 0.646 0.065
0.750 0.354 0.935
0.250 0.146 0.435
0.750 0.854 0.565
0.750 0.727 0.886
0.250 0.773 0.386
0.750 0.227 0.614
0.250 0.273 0.114
```

=====

3.
TiCoSi: relaxed, PBE.

## Properties
ΔE_f in eV/atom: -0.763
Crystal system: hexagonal
Total moment in μB per atom: 0.0957

```
TiCoSi
1.0
3.013 -5.218 0.000
3.013 5.218 0.000
0.000 0.000 3.711
Ti Co Si
3 3 3
Direct
0.564 0.564 0.500
0.436 0.000 0.500
0.000 0.436 0.500
0.757 0.000 0.000
0.000 0.757 0.000
0.243 0.243 0.000
0.000 0.000 0.500
0.667 0.333 0.000
0.333 0.667 0.000
```

=====

(1)
Here is a relaxed UMo12O60 crystal from the Materials Project database. Energies are from PBE with a Hubbard U.

Calculated values
Formation energy   -569 meV per atom
E_tot   -1324.34 eV per cell

```
data_UMo12O60
_chemical_formula_sum 'U3 Mo36 O180'
_symmetry_space_group_name_H-M 'R -3'
_symmetry_Int_Tables_number 148
_symmetry_space_group_name_Hall '-R 3'
_cell_length_a 13.4573
_cell_length_b 13.4573
_cell_length_c 21.8172
_cell_angle_alpha 90.00
_cell_angle_beta 90.00
_cell_angle_gamma 120.00
loop_
_atom_site_label
_atom_site_type_symbol
_atom_site_fract_x
_atom_site_fract_y
_atom_site_fract_z
U1 U 0.0000 0.0000 0.0000
Mo1 Mo 0.0370 0.1838 0.1289
Mo2 Mo 0.0418 0.4772 0.6255
O1 O 0.0024 0.3466 0.5926
O2 O 0.0048 0.1766 0.0228
O3 O 0.0073 0.1303 0.2026
O4 O 0.0083 0.1168 0.9084
O5 O 0.0092 0.1032 0.5128
O6 O 0.0091 0.4882 0.8048
O7 O 0.0228 0.9526 0.3339
O8 O 0.0281 0.5688 0.5554
O9 O 0.0406 0.7616 0.2368
O10 O 0.0727 0.5471 0.3289
```

(2)
Here is a relaxed UMo2O12 crystal from the Materials Project database. Energies are from PBE with a Hubbard U.

Calculated values
Formation energy   -1455 meV per atom
E_tot   -431.11 eV per cell

```
data_UMo2O12
_chemical_formula_sum 'U4 Mo8 O48'
_symmetry_space_group_name_H-M 'P c a 21'
_symmetry_Int_Tables_number 29
_symmetry_space_group_name_Hall 'P 2c -2ac'
_cell_length_a 13.6800
_cell_length_b 6.6661
_cell_length_c 11.6266
_cell_angle_alpha 90.00
_cell_angle_beta 90.00
_cell_angle_gamma 90.00
loop_
_atom_site_label
_atom_site_type_symbol
_atom_site_fract_x
_atom_site_fract_y
_atom_site_fract_z
U1 U 0.0032 0.1899 0.0000
Mo1 Mo 0.0424 0.3355 0.6581
Mo2 Mo 0.0434 0.3412 0.3426
O1 O 0.0008 0.0959 0.3768
O2 O 0.0011 0.6480 0.3172
O3 O 0.0021 0.3584 0.1841
O4 O 0.0046 0.0865 0.6250
O5 O 0.0161 0.4402 0.5008
O6 O 0.1279 0.8188 0.4995
O7 O 0.1342 0.2011 0.0012
O8 O 0.1664 0.3210 0.6636
O9 O 0.1676 0.3282 0.3392
└──
Figure 5.12 Skeletal double staining may be used to characterize axial patterning defects in near‐term mouse embryos (here GD17) and neonates, with Alcian blue utilized to highlight cartilage while Alizarin